climate change

The myth of ‘environmental catastrophism’

[Links International Journal of Socialist Renewal urges its rea

BRICS lessons from Mozambique

Floods in Mozambique have worsened.

By Bobby Peek

Why we need an ecosocialist revolution (with video)

This is the text of Ian Angus'  talk at the

Australia: How should a united socialist party work?

[This is a slightly edited text of a presentation made by Dave Holmes at the “

Australian socialists: `Take back the wealth! Put mines, banks and energy in the hands of the people!'

Election broadsheet of the Socialist Alliance, Australia

May 1, 2013 -- Links International Journal of Socialist Renewal -- Bring the mining industry, the big banks and the energy companies under public/community ownership and control, so that they can be run in a way that respects Aboriginal rights, the environment and social justice. The urgent need to address climate change alone demands that these industries be immediately taken out of the hands of the billionaires and their global corporations and operated as not-for-profit public services under the democratic control of the majority.

From Greece to Australia, the whole world has witnessed the moral bankruptcy of capitalism as it has destroyed the lives of billions of people through the wholesale privatisation of our collective wealth and socialisation of their losses.

We cannot afford to leave our future to the likes of Australian mining billionaires Gina Rinehart and Clive Palmer, and the faceless bankers. If we do so, we won’t have a future worth leaving to future generations.

Long live May Day! Workers of the world unite!

### Attached: materials data
# 1
Nd11In9Pt4: relaxed, PBE.

abc: 15.0163 22.5417 3.8337
angles: 90.00 90.00 90.00
Space group Cmmm (No. 65)
Asymmetric unit:
Nd: 0.0000 0.0000 0.0000 [2 per cell]
Nd: 0.0000 0.1620 0.0000 [4 per cell]
Nd: 0.0000 0.3732 0.0000 [4 per cell]
Nd: 0.1901 0.5000 0.0000 [4 per cell]
Nd: 0.2437 0.1706 0.0000 [8 per cell]
In: 0.0000 0.5000 0.5000 [2 per cell]
In: 0.1032 0.2635 0.5000 [8 per cell]
In: 0.1455 0.0707 0.5000 [8 per cell]
Pt: 0.1531 0.3987 0.5000 [8 per cell]

Summary:
Crystal system ... orthorhombic
Volume ... 27.035 Å³/atom
Energy ... -0.3653 Ry/atom
Energy relative to the elements ... -0.7513 eV/atom

# 2
NdIn4Pt2: relaxed, PBE.

abc: 4.3493 17.6728 4.2692
angles: 90.00 90.00 90.00
Space group Cmmm (No. 65)
Asymmetric unit:
Nd: 0.0000 0.0000 0.0000 [2 per cell]
In: 0.0000 0.1715 0.5000 [4 per cell]
In: 0.0000 0.3211 0.0000 [4 per cell]
Pt: 0.0000 0.4255 0.5000 [4 per cell]

Summary:
Offset from the most stable computed form ... 1.27 eV/f.u.
Crystal system ... orthorhombic
Volume ... 23.439 Å³/atom
Energy ... -0.3262 Ry/atom
Energy relative to the elements ... -0.4668 eV/atom

# 3
Nd6InPt2: relaxed, PBE.

abc: 9.6534 10.1427 10.9146
angles: 90.00 90.00 90.00
Space group Immm (No. 71)
Asymmetric unit:
Nd: 0.0000 0.1986 0.2346 [8 per cell]
Nd: 0.1945 0.5000 0.1719 [8 per cell]
Nd: 0.2080 0.3176 0.5000 [8 per cell]
In: 0.0000 0.0000 0.0000 [2 per cell]
In: 0.0000 0.0000 0.5000 [2 per cell]
Pt: 0.0000 0.3437 0.0000 [4 per cell]
Pt: 0.0000 0.5000 0.3693 [4 per cell]

Summary:
Crystal system ... orthorhombic
Volume ... 29.685 Å³/atom
Energy ... -0.4018 Ry/atom
Energy relative to the elements ... -0.6410 eV/atom

# 4
Nd12InPt6: relaxed, PBE.

abc: 10.3532 10.3532 10.3532
angles: 90.00 90.00 90.00
Space group Im-3 (No. 204)
Asymmetric unit:
Nd: 0.0000 0.1803 0.3029 [24 per cell]
In: 0.0000 0.0000 0.0000 [2 per cell]
Pt: 0.0000 0.3651 0.5000 [12 per cell]

Summary:
Crystal system ... cubic
Volume ... 29.204 Å³/atom
Energy ... -0.4278 Ry/atom
Energy relative to the elements ... -0.7575 eV/atom

# 5
NdInPt4: relaxed, PBE.

abc: 7.7091 7.7091 7.7091
angles: 90.00 90.00 90.00
Space group F-43m (No. 216)
Asymmetric unit:
Nd: 0.0000 0.0000 0.0000 [4 per cell]
In: 0.2500 0.2500 0.2500 [4 per cell]
Pt: 0.1245 0.1245 0.6245 [16 per cell]

Summary:
Crystal system ... cubic
Volume ... 19.089 Å³/atom
Energy ... -0.4476 Ry/atom
Energy relative to the elements ... -0.8113 eV/atom

# 6
NdInPt2: relaxed, PBE.

abc: 4.8198 4.8198 3.6072
angles: 90.00 90.00 90.00
Space group P4/mmm (No. 123)
Asymmetric unit:
Nd: 0.0000 0.0000 0.0000 [1 per cell]
In: 0.5000 0.5000 0.0000 [1 per cell]
Pt: 0.0000 0.5000 0.5000 [2 per cell]

Summary:
Crystal system ... tetragonal
Volume ... 20.949 Å³/atom
Energy ... -0.4140 Ry/atom
Energy relative to the elements ... -0.7364 eV/atom

# 7
NdIn6Pt3: relaxed, PBE.

abc: 9.8581 4.5136 10.2292
angles: 90.00 94.83 90.00
Space group P2_1/m (No. 11)
Asymmetric unit:
Nd: 0.0965 0.2500 0.2582 [2 per cell]
In: 0.0830 0.2500 0.9205 [2 per cell]
### Back to the text

May Day message from the Socialist Alliance, Australia

Between two parts of the page: data records
/*
# 1
## Dy6TeIr2Se3 (PBE)

Data for Dy6TeIr2Se3 after structural relaxation.

```
data_Dy6TeIr2Se3
_cell_length_a 18.2636
_cell_length_b 4.0618
_cell_length_c 8.5159
_cell_angle_alpha 90.00
_cell_angle_beta 105.44
_cell_angle_gamma 90.00
_space_group_name_H-M_alt 'C 1 2/m 1'
_space_group_IT_number 12
loop_
_space_group_symop_operation_xyz
'x,y,z'
'-x,-y,-z'
'-x,y,-z'
'x,-y,z'
'x+1/2,y+1/2,z'
'-x+1/2,-y+1/2,-z'
'-x+1/2,y+1/2,-z'
'x+1/2,-y+1/2,z'
loop_
_atom_site_label
_atom_site_type_symbol
_atom_site_fract_x
_atom_site_fract_y
_atom_site_fract_z
Dy1 Dy 0.0166 0.0000 0.2724
Dy2 Dy 0.1706 0.5000 0.5803
Dy3 Dy 0.1770 0.5000 0.1276
Te1 Te 0.0000 0.5000 0.0000
Ir1 Ir 0.1721 0.0000 0.3508
Se1 Se 0.0000 0.5000 0.5000
Se2 Se 0.1579 0.0000 0.8471
```

The calculation puts the uncorrected energy at -6.280 eV/atom. The size of the total moment comes out at 0.00 μB per formula unit.


# 2
## V3SnH (PBE)

Data for V3SnH after structural relaxation.

```
data_V3SnH
_cell_length_a 5.6322
_cell_length_b 5.6322
_cell_length_c 4.6082
_cell_angle_alpha 90.00
_cell_angle_beta 90.00
_cell_angle_gamma 120.00
_space_group_name_H-M_alt 'P 63/m m c'
_space_group_IT_number 194
_space_group_name_Hall '-P 6c 2c'
loop_
_atom_site_label
_atom_site_type_symbol
_atom_site_fract_x
_atom_site_fract_y
_atom_site_fract_z
V1 V 0.1567 0.3133 0.2500
Sn1 Sn 0.3333 0.6667 0.7500
H1 H 0.0000 0.0000 0.0000
```

The calculation puts the uncorrected energy at -7.088 eV/atom. The size of the total moment comes out at 0.00 μB per formula unit.
*/

May 1, 2013 -- Links International Journal of Socialist Renewal -- As workers around the world take to the streets to celebrate May Day, we are sharply aware that the capitalist system has reached a point of development where it threatens the habitability of the planet on which we all live.

Last month, for the first time in 3 million years, the carbon concentrations in the Earth's atmosphere reached 399.7 parts per million (ppm) at the Mauna Loa Observatory in Hawaii. In several other parts of the world that day, the reading exceeded 400 ppm.

When CO2 concentrations were last above 400 ppm it was the Pliocene era, when temperatures were 3-4 degrees Celsius and sea levels were 5-40 metres higher than they are today. Capitalism is throwing our planet into dangerous climate change.

Sadly this is no surprise. Capitalism has already devastated the lives of billions of people through exploitation, war and poverty.

Reducing production: How should socialists relate to struggles against capitalist growth

By Don Fitz

March 19, 2013 -- Links International Journal of Socialist Renewal -- The question is not should we advocate reducing production within capitalist society but rather: How do we best relate to those struggles that are already occurring? Activists across the globe are challenging the uncontrollable dynamic of economic expansion which threatens the survival of humanity. It has never been more urgent to provide a vision of a new society that can pull these efforts together.

South Africa: brics-from-below! Civil society gathering during the Brazil-Russia-India-China-South Africa summit

Whose turn to carve?

March 18, 2013 -- In Durban, South Africa, five heads of state meet on March 26-27, 2013, to assure the rest of Africa that their countries’ corporations are better investors in infrastructure, mining, oil and agriculture than the traditional European and US multinationals. The Brazil-Russia-India-China-South Africa (BRICS) summit will also include 16 heads of state from Africa, including some notorious tyrants. A new $50 billion bank will probably be launched.

Anti-fracking movement goes global, climate-change mafia warns

More than 2000 people protest against coal seam gas in the Illawarra, NSW, Australia, October 2011.

By Farida Iqbal

February 10, 2013 -- Green Left Weekly -- The shale gas industry-commissioned white paper, The Global Anti-Fracking Movement: What it Wants, How it Operates and What’s Next, makes for some very interesting reading. It was produced late last year by Control Risks, an “independent, global risk consultancy specialising in helping organisations manage political, integrity and security risks in complex and hostile environments”.

The white paper focuses on shale gas, but it also discusses coal seam gas. Shale gas is what features in the film Gasland by Josh Fox, which details the destructive effects of “fracking” on communities in the US.

A global movement has emerged to combat the risks to water and air quality, health and farmland that shale gas mining poses. Australia has both shale and coal seam gas reserves.

Chris Williams: What must be done to stop climate change?

For a moment he lost himself in the old, familiar dream.